View Full Version : slow serial communication

05-22-2008, 06:44 PM
I need to send data to a hardware (OBD car device) using the serial port.
The com port has to be configured to 5 bps 8N1 using no flow control. Using
some examples that I took on the NET I wrote a test program. To test it I connected
a loopback device on the com port and I ran the program. My program seem to be
working but there's something that I don't understand. Sending one byte at 5 bps
should take 2 seconds (1 start bit + 8 bits + 1 stop bit = 10 bits). Since the byte
sent is also received at the same time I was expecting that both operations (sending
and receiving) should take 2 or 3 seconds.

Here's the result that I'm getting from my test program :

[10:39:30.933] Send buffer is [0x33]
[10:39:30.933] Before Send
[10:39:30.934] After Send
[10:39:30.934] Before Receive
[10:39:40.915] After Receive
[10:39:40.915] 1 byte(s) received
[10:39:40.915] Receive buffer is [0x33]

Like you can see it took 10 seconds to do both operations. I verified and the byte
is sent immediately after the send operation (at 10:39:30.934). Can someone help me
to understand why it's taking so long to send and receive one byte ?

By the way I ran the program on my laptop using Knoppix 5.1.1.

Let me know if I posted this question in the wrong forum or if I should post it somewhere
else to get more help.


Harry Kuhman
05-22-2008, 10:01 PM
...... configured to 5 bps 8N1 using no flow control. ...... Since the byte
sent is also received at the same time I was expecting that both operations (sending
and receiving) should take 2 or 3 seconds..

Boy, I've never worked with anything lower than 110 baud, didn't know that you could configure any serial ports for slower than that. Glad to hear that you can though. I'm not sure why you say say the byte sent is received at the same time. Of course, the byte sent is indeed received by the OBD equipment when it is sent, but it looks to me like you have to send some command bytes and then the OBD equipment get around to responding, so from the computer's prospective it sends, waits, and then receives data. And clearly with any equipment running at 5bps, speed isn't much of a priority. I'm hard pressed to understand why it's running that slow, even in a potentially electrically noisy automotive environment, and I wonder if it isn't even deliberately talking slow to look like it's doing more than it really is. From what you posted, it looks to me like it's working exactly as intended.

05-22-2008, 11:01 PM
The reason why I'm saying that the byte is received at the same time is because I tested my program with a loopback device. To be more precise I put a wire between the RxD and TxD pin of the com port. This is why I'm saying that the byte sent is received at the same time. The reason of using 5 bps is for a slow initialization of the communication between the scantool and the ECU. It's part of the ISO9141 protocol which I'm not familiar with it. I know that the ECU should reply with a sync byte (0x55) and after the speed has to be changed from 5 bps to 10400 bps. I do agree with you that my program seems to be working as intended but my problem is really the 10 seconds delay. I really don't understand it and I think this will be an issue as I go futher in my project since there will be a delay of 8 seconds (10 seconds - 2 seconds for sending the byte) between the time the ECU sends the sync byte and the time I will receive it.

thanks for your reply!

[The text is interrupted by data records]
<<<
{"formula": "H4N2S2", "method": "ωB97M-V with the def2-TZVPD basis set", "symbols": ["N", "N", "S", "S", "H", "H", "H", "H"], "coordinates": [[-2.186821, 1.407561, 0.421875], [2.155856, 1.226815, -0.638099], [-1.388795, 0.338638, -0.555481], [1.503976, 0.310131, 0.533348], [-2.303252, 2.250928, 0.008461], [-1.709239, 1.446068, 1.387637], [2.077028, 2.246635, -0.372201], [2.485010, 0.930255, -1.510164]], "atomic_forces_ev_per_a": [[2.0338, -2.9399, 3.4065], [-0.6755, 3.0348, 2.5776], [0.1333, -0.5839, -0.0869], [-0.4484, -0.7805, -0.2230], [-0.4993, 3.2827, -1.1658], [-1.5046, 0.1119, -1.9362], [0.5603, -1.7049, -1.4115], [0.4003, -0.4202, -1.1607]], "e_homo_ev": [-8.43, -7.84], "homo_lumo_gap_ev": [7.929, 7.062], "multiplicity": 1, "de_lowest_kcal_mol": 38.63}

=====

ORCA calculation (the ωB97M-V functional and the def2-TZVPD basis) on a 10-piece molecular cluster, C38H44N10O6 overall.

Calculated values
* DFT total energy: -67294.1642 eV
* relative energy (zero: lowest compared OMol25 entry of this formula, charge and spin): 20.1 kcal per mole
* Kohn-Sham gap: 9.14 eV
* maximum force: 3.7 eV Å⁻¹
* SMILES string: C[N+](=O)[O-].C[N+](=O)[O-].C[N+](=O)[O-].c1ccncc1.c1ccncc1.c1ccncc1.c1ccncc1.c1ccncc1.c1ccncc1.c1ccncc1

Last column: Mulliken charge in e.
Positions of all 98 atoms, in Å:
O: -0.954 3.673 -0.540  -0.55
O: 1.923 0.942 1.574  -0.62
O: -2.915 3.204 -1.391  -0.52
O: -0.568 -2.710 -0.900  -0.20
O: -0.114 1.541 1.860  -0.53
O: -2.101 -3.975 -1.646  -0.58
N: -3.228 0.022 -1.447  0.30
N: -0.752 0.362 5.969  -0.40
N: 0.360 -0.023 -4.306  -0.23
N: 0.753 0.915 1.300  1.35
N: 4.098 2.889 -0.700  -0.14
N: 2.886 -1.868 -3.840  -0.34
N: 1.510 -5.168 0.251  -0.60
N: -4.600 -1.882 2.769  -0.31
N: -2.137 3.408 -0.443  0.83
N: -1.120 -3.303 -1.827  0.73
C: -0.556 -3.397 -3.213  -0.79
C: 2.710 -1.418 -2.594  0.40
C: -5.103 -1.289 -0.646  -1.19
C: 1.123 0.131 4.387  -0.50
C: 3.496 -0.433 -2.081  -0.34
C: 1.405 0.516 -4.947  -0.66
C: 1.524 1.441 4.741  -0.17
C: 0.813 -4.365 1.078  -0.49
C: -0.465 2.087 -3.717  -0.33
C: -2.638 3.132 0.957  -0.67
C: 1.332 -3.188 1.608  -0.33
C: 4.193 4.716 0.813  -0.50
C: -0.543 0.735 -3.676  0.24
C: -3.248 -2.000 5.314  -0.37
C: -3.297 -3.091 4.392  -0.49
C: -5.840 -0.807 -1.706  -0.15
C: 0.672 2.618 -4.344  -0.53
C: 4.502 0.201 -2.804  -1.10
C: 3.913 -1.344 -4.557  -0.74
C: 2.436 -2.619 1.021  -0.28
C: 2.791 3.075 -0.842  -0.07
C: -3.952 -0.831 4.875  -0.40
C: 4.773 3.679 0.132  -0.40
C: 3.105 -3.377 0.069  -0.59
C: -5.353 0.101 -2.606  -1.11
C: -3.788 -0.840 -0.573  -0.29
C: -4.571 -0.866 3.617  -0.23
C: -0.011 -0.346 5.090  -0.15
C: 2.827 4.953 0.600  -0.38
C: -4.001 -3.033 3.204  -0.21
C: 4.689 -0.223 -4.112  -0.08
C: -0.372 1.582 6.169  -0.26
C: -4.017 0.461 -2.461  0.10
C: 0.838 2.195 5.634  -0.63
C: 2.102 4.111 -0.218  -0.17
C: 2.601 -4.642 -0.285  -0.54
C: 1.660 1.889 -4.991  -0.69
C: 0.333 0.132 0.123  0.71
H: -0.367 -1.349 4.871  0.43
H: 2.715 -1.607 1.160  0.71
H: 0.773 -2.624 2.303  0.58
>>>

Harry Kuhman
05-22-2008, 11:17 PM
Interesting (but pretty strange) that the speed changes from 5 bps to 10400 bps during operation. But unless you just happen to come across someone else here using this same OBD equipment, I don't think that you are going to get any helpful feedback here. The Linux side of this seems to be working fine. It's the OBD equipment that is strange, but unless there is some way to tell it to operate differently, it seems like it's going to operate with the quarks that you have already told us about. Maybe you can find a forum somewhere where the users talk about OBD and related equipment that would be of more help.

Inserted here: quantum chemistry results >
+++
No. 1
18
Properties=species:S:1:pos:R:3:forces:R:3 method="wB97M-V/def2-TZVPD" total_charge=+2 e_above_lowest_kj_mol=335.4 gap_ha="0.3476 / 0.1277" spin_multiplicity=2 e_homo_ev="-18.7 / -18.1" lumo_energy_ev="-9.19 / -14.66"
C -1.86280 -0.33845 0.45352 4.3 1.5 -1.3
C -3.11193 -0.69860 0.75583 -1.5 -0.4 0.8
N -1.11526 0.81342 1.04207 -2.2 -1.7 -0.6
H -1.22477 -0.84110 -0.30644 -0.9 0.3 0.4
H -3.57594 -1.47826 0.16672 -0.4 0.0 0.0
H -3.61931 -0.17519 1.54909 -0.5 -0.2 0.3
H -1.57668 1.70967 0.86532 0.1 0.3 -0.4
H -1.16608 0.68615 2.04605 0.1 0.2 0.8
H 0.03549 0.86002 0.65115 1.6 0.2 0.4
N 1.53008 -1.34191 -0.61279 -1.7 1.2 0.4
C 1.68944 0.01796 -0.56786 2.2 -1.3 -3.2
N 2.40219 0.50577 -1.66455 -0.7 -0.3 2.1
N 1.36700 0.85261 0.35349 -0.9 0.2 1.1
H 0.74571 -1.71424 -0.08562 0.7 -0.3 0.2
H 1.60535 -1.75430 -1.52871 0.1 -0.2 -0.2
H 3.06969 -0.13127 -2.04841 0.7 -0.1 -0.5
H 2.70304 1.45668 -1.49413 0.2 0.1 -0.8
H 2.10478 1.57105 0.42528 -1.3 0.2 0.3

---

No. 2
17
Properties=species:S:1:pos:R:3:forces:R:3 method="wB97M-V/def2-TZVPD" total_charge=0 e_above_lowest_kj_mol=280.3 gap_ha=0.3496 e_homo_ev=-8.9 lumo_energy_ev=0.62
C -0.37896 -1.08924 -2.23035 0.0 -0.1 0.2
C -0.53655 -0.86242 -0.92566 -0.2 -0.3 -0.4
C -1.44143 -1.68063 -0.04924 0.1 0.0 0.0
N 0.17483 0.21178 -0.38051 -0.1 0.1 0.0
C 0.27758 0.52853 0.82616 2.1 1.9 -1.9
O -0.13271 0.01126 1.97020 2.6 3.1 2.0
C 1.20426 1.86668 1.07580 -1.1 -0.6 -1.4
O 1.92769 2.16252 -0.07133 0.2 0.1 -0.1
H -0.88556 -1.90436 -2.72026 -0.1 -0.1 0.0
H 0.28461 -0.48032 -2.82288 0.0 0.1 0.0
H -1.95257 -2.44032 -0.63647 0.0 0.0 0.0
H -2.18632 -1.04491 0.43105 0.0 0.0 0.0
H -0.87162 -2.16689 0.74295 0.0 0.0 0.0
H 0.56445 0.78046 2.36584 -3.0 -3.6 1.1
H 0.48442 2.66911 1.29414 0.0 0.0 0.1
H 1.92724 1.82311 1.91149 -0.3 -0.5 0.1
H 1.54065 1.61563 -0.78093 -0.1 -0.1 0.1

---

No. 3
13
Properties=species:S:1:pos:R:3:forces:R:3 method="wB97M-V/def2-TZVPD" total_charge=0 e_above_lowest_kj_mol=444.2 gap_ha=0.3536 e_homo_ev=-8.6 smiles=O[C@H]1C[C@H]2N[C@@H]12 lumo_energy_ev=1.03
O -1.60744 -1.23927 -0.26385 0.5 0.0 -0.2
C -0.86846 -0.24553 -0.83269 2.5 -0.6 0.6
C -0.75701 1.01662 0.03972 0.2 0.1 0.0
C 0.65666 0.65086 0.42294 0.2 0.6 0.6
N 0.71756 -0.77973 0.84367 0.1 0.1 1.0
C 0.90820 -0.43008 -0.52771 -0.6 -0.2 0.5
H -1.14866 -1.33632 0.60927 -0.2 -0.3 -0.2
H -0.43356 -0.35967 -1.79177 -2.2 0.6 -2.1
H -1.45612 1.05289 0.88722 0.0 -0.2 -0.4
H -0.82858 1.95847 -0.50961 0.1 -0.1 0.0
H 1.36860 1.33576 0.85357 0.2 0.0 0.1
H 1.57969 -0.99212 1.32210 0.2 0.2 0.2
H 1.87065 -0.63174 -1.05285 -1.2 -0.1 0.1

---

No. 4
84
Properties=species:S:1:pos:R:3:forces:R:3 method="wB97M-V/def2-TZVPD" total_charge=0 e_above_lowest_kj_mol=17.1 gap_ha=0.2916 e_homo_ev=-8.1 smiles="CCCCN(CCCC)CCNC(=O)c1cn(CC)c2ccc(S(=O)(=O)N(C)C3CCCCC3)cc2c1=O" lumo_energy_ev=-0.16
C 1.73887 3.44674 3.67552 0.2 0.2 -0.1
C 2.85560 3.57859 2.64727 0.0 -0.3 0.2
C 3.34389 2.21430 2.16840 0.1 0.4 -0.2
C 4.42946 2.33838 1.09614 -0.2 -0.2 0.2
+++

05-22-2008, 11:37 PM
I haven't used any OBD equipment yet. I just wrote a C program that send and receive a byte at 5 bps and tested it with a loopback device. The program that I'm writing will be used with an OBD device later but not yet. I need to make sure my program behave as expected first before to connect it to the OBD device. This is why I'm trying to figure out why it's taking so long to do both operations. Like I said I was expecting to be able to do both in less than 3 seconds. I'm thinking there might be something wrong with Linux or with the program that I wrote. I do agree with you that I should not expect any help in this forum about my OBD device.

[Attached: records of molecules]
'''
[1]
Formula: C5H5NO
Source: OMol25
Level of theory: ωB97M-V/def2-TZVPD

Computed properties:
Relative energy (zero: lowest compared OMol25 entry of this formula, charge and spin) in kcal per mole: 65.18
LUMO level in eV: 0.56
Kohn-Sham gap in eV: 10.720
HOMO energy in eV: -10.16
E_tot in eV: -8800.593

The geometry in XYZ format:
```
12
Properties=species:S:1:pos:R:3:forces:R:3:mulliken_charge:R:1
O 1.110 -2.319 1.078 0.1 0.3 0.1 -0.466
N 1.032 0.826 -1.189 -0.3 1.6 0.0 -0.215
C 0.849 -1.167 0.842 0.1 -0.4 0.1 -0.149
C -0.401 -0.754 0.160 0.0 -0.3 -0.1 0.031
C -0.889 0.655 0.441 -0.2 0.0 0.2 -0.717
C 1.336 1.946 -1.417 0.9 -0.4 -0.2 -0.038
C -0.257 0.310 -0.864 -0.4 0.2 0.0 -0.004
H -1.961 0.805 0.463 0.1 0.0 -0.1 0.235
H -0.886 0.330 -1.740 -0.2 -0.4 0.0 0.374
H -1.100 -1.545 -0.085 0.0 0.0 0.3 0.378
H -0.354 1.254 1.181 0.1 -0.3 -0.3 0.282
H 1.546 -0.345 1.126 -0.2 -0.2 -0.1 0.290
```
Positions in Å, forces in eV/Å.



[2]
Formula: C5H5NO
Source: OMol25
Level of theory: ωB97M-V/def2-TZVPD

Computed properties:
Relative energy (zero: lowest compared OMol25 entry of this formula, charge and spin) in kcal per mole: 99.20
LUMO level (spin up / spin down) in eV: 0.29 / 0.29
Kohn-Sham gap (spin up / spin down) in eV: 9.195 / 9.195
HOMO energy (spin up / spin down) in eV: -8.91 / -8.91
E_tot in eV: -8799.117

The geometry in XYZ format:
```
12
Properties=species:S:1:pos:R:3:forces:R:3:mulliken_charge:R:1
O 1.882 -0.893 0.236 1.9 2.6 0.1 -0.500
N -0.344 0.723 -3.476 -0.1 0.2 -0.4 -0.473
C 0.556 -0.915 0.300 -1.5 2.7 -1.9 -0.217
C -0.261 -0.066 1.268 -2.9 -0.5 -0.7 -0.353
C -1.116 0.679 0.191 2.1 0.0 2.0 -0.146
C -0.534 0.643 -2.344 -0.1 -0.1 0.7 0.164
C -0.546 0.390 -0.962 1.9 -2.6 1.1 -0.129
H -0.958 -0.489 2.081 1.4 -0.2 -1.2 0.263
H 0.530 0.404 1.754 0.8 2.1 1.2 0.206
H 0.345 -1.910 0.214 -1.4 -2.5 -0.7 0.410
H 2.287 0.043 0.222 -1.1 -2.0 0.2 0.368
H -1.840 1.391 0.514 -0.8 0.5 -0.3 0.406
```
Positions in Å, forces in eV/Å.



[3]
Formula: C5H5NO
Source: OMol25
Level of theory: ωB97M-V/def2-TZVPD

Computed properties:
Relative energy (zero: lowest compared OMol25 entry of this formula, charge and spin) in kcal per mole: 31.36
SMILES: N#C[C@@H]1C[C@@H]1C=O
LUMO level in eV: 0.70
Kohn-Sham gap in eV: 11.030
HOMO energy in eV: -10.33
E_tot in eV: -8802.059

The geometry in XYZ format:
```
12
Properties=species:S:1:pos:R:3:forces:R:3:mulliken_charge:R:1
O -2.068 -1.182 1.263 0.6 0.1 -0.1 -0.470
N 0.457 -1.649 -2.194 -0.1 1.0 0.5 -0.431
C -0.499 0.441 0.514 -0.2 0.0 0.1 0.068
C 0.185 0.561 -0.843 0.0 0.0 -0.2 0.052
C 0.352 -0.653 -1.614 0.1 -0.8 -0.5 0.076
C -0.941 -0.930 0.912 -0.4 -0.1 0.1 -0.179
C 0.967 0.745 0.423 0.2 0.0 0.1 -0.725
H 1.669 -0.038 0.696 -0.2 0.1 -0.1 0.284
H -0.055 1.440 -1.434 0.0 -0.2 0.1 0.365
H -0.164 -1.721 0.843 -0.1 0.1 0.0 0.325
H -1.194 1.232 0.776 0.1 -0.1 -0.1 0.372
H 1.292 1.754 0.658 -0.1 -0.2 0.0 0.261
```
Positions in Å, forces in eV/Å.



[4]
Formula: C5H5NO2
Source: OMol25
Level of theory: ωB97M-V/def2-TZVPD
'''
[The records of molecules stop here]

thanks again!

Harry Kuhman
05-23-2008, 12:49 AM
Well, now I understand better what you are saying, and I agree, it makes no sense. I don't know how the delay is being introduced if it's not from actual OBD equipment. Perhaps it's either a buffering issue or an API issue that trying to prevent the application from getting overwhelmed from too many inbound interrupts. You may even want to look at writing your own low level serial I/O routines rather than using whatever C is using. If you don't yet have the OBD equipment to talk to, you might try hooking up to another computer, just to avoid any potential loopback issues, but from what you have written I rather expect that you'll find that if you send the bytes that you expect to see coming out of the OBD equipment from another computer, you'll also see a long delay before your C program registers the input.

I wasn't too concerned about where this was posted before. It's not really a networking question, it's more of a serial communications question, somewhat related but not the same. I'm starting to think that you might get more reads and a better chance for good feedback if this is moved to the General forum, since it now seems to be more of a programming question. You may also want to post a block of your C code that shows how you are doing the serial read, just in case someone can suggest a better way that will avoid the delay. I'll move the thread for you.